Job
Next, count the lines further below that contain the word "model" and give the number alone.

Input
-- begin --
This entry pairs a crystal structure of CaHoCo2O6 with its computed X-ray powder pattern. Radiation: Cu Ka. Structure: DFT lattice parameters and positions (GGA+U).
Intensities are scaled so that the largest is 100.

The 12 most intense peaks (5° ≤ 2θ ≤ 70°), sorted by position:
d 4.406, I 27, (1 1 0); d 4.283, I 32, (1 0 1); d 3.373, I 15, (1 1 1); d 2.738, I 21, (0 2 0); d 2.650, I 100, (2 1 1); d 2.622, I 25, (0 0 2); d 2.254, I 17, (1 1 2); d 1.894, I 23, (0 2 2); d 1.855, I 16, (4 0 0); d 1.835, I 15, (3 2 0); d 1.679, I 13, (1 3 1); d 1.519, I 22, (2 1 3)

Structure:
```
20
Lattice="7.419 0.000 0.000 0.000 5.476 0.000 0.000 0.000 5.245" Properties=species:S:1:pos:R:3 pbc="T T T"
Ca 0.000 1.071 0.000
Ca 3.710 4.405 2.622
Ho 0.000 3.743 2.787
Ho 3.710 1.733 0.165
Co 1.851 4.135 0.070
Co 1.859 1.341 2.692
Co 5.560 1.341 2.692
Co 5.569 4.135 0.070
O 0.000 1.525 2.254
O 0.000 4.231 0.578
O 1.501 5.191 3.721
O 1.521 2.513 4.226
O 2.189 2.963 1.603
O 2.208 0.285 1.098
O 3.710 1.245 3.201
O 3.710 3.951 4.876
O 5.211 0.285 1.098
O 5.230 2.963 1.603
O 5.898 2.513 4.226
O 5.918 5.191 3.721
```

* * * * *

Simulated powder diffractogram of Y4OsF4 for Cu Kα (λ = 1.5418 Å), from a DFT-relaxed cell (PBE, OQMD).
Neutral-atom scattering factors, no anomalous dispersion.

Largest 10 diffraction maxima, low angle first, 10 to 90 degrees two-theta:
7.492 Å, intensity 100.0, (1 1 0)
2.983 Å, intensity 8.8, (3 1 -1)
2.955 Å, intensity 8.4, (3 1 1)
2.942 Å, intensity 13.1, (1 3 1)
2.702 Å, intensity 11.6, (0 2 2)
2.420 Å, intensity 14.4, (2 2 -2)
2.402 Å, intensity 13.2, (2 2 2)
2.379 Å, intensity 10.5, (4 2 0)
2.360 Å, intensity 9.7, (2 4 0)
2.291 Å, intensity 17.5, (1 3 -2)

Structural model:
```
data_Y4OsF4
_cell_length_a 10.6683
_cell_length_b 10.5246
_cell_length_c 6.2996
_cell_angle_alpha 90.00
_cell_angle_beta 90.62
_cell_angle_gamma 90.00
_symmetry_space_group_name_H-M 'C 1 2/c 1'
_symmetry_Int_Tables_number 15
loop_
_symmetry_equiv_pos_as_xyz
'x,y,z'
'-x,-y,-z'
'-x,y,-z+1/2'
'x,-y,z+1/2'
'x+1/2,y+1/2,z'
'-x+1/2,-y+1/2,-z'
'-x+1/2,y+1/2,-z+1/2'
'x+1/2,-y+1/2,z+1/2'
loop_
_atom_site_label
_atom_site_type_symbol
_atom_site_fract_x
_atom_site_fract_y
_atom_site_fract_z
Y1 Y 0.0764 0.2107 0.0186
Y2 Y 0.2087 0.0754 0.4921
Os1 Os 0.0000 0.0133 0.7500
F1 F 0.1210 0.2997 0.3904
F2 F 0.2000 0.3811 0.9145
```

* * * * *

Simulated X-ray diffraction stick pattern
Compound: Ba2CoN2
Radiation: copper Kα
Structure: a cell relaxed with GGA-PBE
Lines closer than 0.1° are merged.

Crystal structure
```
5
Lattice="-2.060 2.060 6.440 2.060 -2.060 6.440 2.060 2.060 -6.440" Properties=species:S:1:pos:R:3 pbc="T T T"
Ba 0.000 0.000 1.827
Ba 0.000 0.000 11.053
Co 0.000 0.000 6.440
N 0.000 0.000 4.720
N 0.000 0.000 8.160
```

Principal peaks in the range 10 to 80 degrees two-theta, low angle first:
two_theta  I_rel
22.66  18
27.70  17
30.06  100
30.70  79
41.82  22
43.96  28
52.76  11
52.99  13
54.18  38
63.93  9
66.34  9
72.59  20
-- stop --

Done
1